Monthly Archives: April 2014

If All You See…

…are evil plastic Easter eggs causing the temperatures to spike to broiling, you might just be a Warmist The blog of the day is Joe For America, with a post noting that the Easter Bunny causes global warming.

Easter Is A Good Time For Warmists To Pimp Climate Change

Well, really, every holiday is an occasion for Warmists to pimp climate change (Edmonton Sun) A blanket of snow may have put the brakes on an annual Easter tradition but the weather may have served to amplify the message it carried in another way. About 300 people came to the Hope Mission in Edmonton on […]

Freedom From Religion Foundation Upset That Their Insulting Sign Was “Violently Mangled”

The Freedom From Religion Foundation is one of the more extreme Left wing religion hating groups. To use Leftist terminology, they are a hate group. They constantly butt in around the country regarding religious belief. These busybodies are Offended, so the rights of other people have to be infringed. And, like most leftist groups, instead […]

Obama Punts Keystone XL Yet Again

Remember when the decision on Keystone XL would be in “months”? That was a few months ago. And the decision is to ….. punt. Here’s our Decider-in-chief (Politico) The Obama administration says it is indefinitely extending its long-awaited review of the Keystone XL pipeline — providing a Good Friday jolt to one of the president’s […]

European Commission To Make Your Coffee Machine Climate Friendly

And have you drinking cold coffee. I’d say they’ve gone off the rails, but that happened long ago (No Tricks Zone) The Austrian daily Der Standard here reports that a new European eco-design directive will switch off coffee machines after five minutes. The directive will go into effect on January 1, 2015. Commercial coffee makers […]

Hillary Tells Illegal Demanding Stuff That She’s Brave

When I write and say that it’s not our immigration system that’s broken, but our politicians and political system that are broken, the following is what I mean. That, and that illegals might be better accepted if they weren’t all demanding (Daily Mail) A 19-year-old college student announced for the first time Thursday that she […]

If All You See…

…is an evil plastic water bottle causing the seas to rise and cover the entire East coast, you might just be a Warmist The blog of the day is The Last Refuge, with a post on anti-unionization at Media Matters.

LOL: Ikea Plans “Green” Meatballs To Fight Hotcoldwetdry

No, seriously. The same company which uses lots of wood, obtained by cutting down carbon pollution sucking trees, and has lots of plastic bowls, dishes, cups, etc, is uber concern trolling (Telegraph) Ikea is developing a new ‘green’ version of its famous Swedish meatballs in order to cut carbon emissions and help tackle climate change, […]

What TV Shows Do You Watch?

Something non-political, not “climate changey”, for discussion. For me, there are few shows I watch. There are none on network TV, which includes ABC, CBS, NBC, Fox, and the CW, other than sports like golf, football, baseball, and hockey. The last show I watched regularly was Stephen King’s Under The Dome, which turned into a […]

DOE Plans On Wasting Another $4 Billion On Renewable Project Loans

**Attached: materials data**
+++
The following is a computed powder XRD pattern of KGe2P3O12. It was derived from a crystal structure in the Materials Project, relaxed with PBE, using Cu Ka.

Most intense lines, 15 to 90 degrees two-theta, by intensity:
| two_theta | intensity | h k l |
| --- | --- | --- |
| 32.19 | 100 | 1 1 6 |
| 21.86 | 78 | 1 1 0 |
| 24.82 | 68 | 2 -1 3 |
| 29.80 | 33 | 0 2 4 |
| 20.01 | 32 | 1 0 4 |
| 50.91 | 30 | 2 2 6 |

Atomic structure:
Lattice parameters (Å, degrees): 8.1315 8.1315 22.8647 90.00 90.00 120.00
Space group R-3 (No. 148, hexagonal axes)
Unique sites:
K 0.0000 0.0000 0.0000
K 0.0000 0.0000 0.5000
Ge 0.0000 0.0000 0.1480
Ge 0.0000 0.0000 0.3472
P 0.0011 0.7167 0.2506
O 0.0171 0.1901 0.0949
O 0.0388 0.8293 0.1932
O 0.0735 0.2115 0.3984
O 0.0856 0.2213 0.6995


# 1
Diffraction record for CsSmMnSe3. The XRD peak list is simulated, not measured: it uses a structure optimized by DFT (PBE) and a wavelength of 1.5418 Å.

Atomic structure:
```
12
Lattice="2.1451 -8.0937 0.0000 2.1451 8.0937 0.0000 0.0000 0.0000 11.3189" Properties=species:S:1:pos:R:3 pbc="T T T"
Cs 2.1451 4.2026 8.4892
Cs 2.1451 -4.2026 2.8297
Sm 2.1451 0.0000 0.0000
Sm 2.1451 0.0000 5.6595
Mn 2.1451 7.4555 2.8297
Mn 2.1451 -7.4555 8.4892
Se 2.1451 6.1796 0.6953
Se 2.1451 6.1796 4.9642
Se 2.1451 0.8466 2.8297
Se 2.1451 -0.8466 8.4892
Se 2.1451 -6.1796 6.3547
Se 2.1451 -6.1796 10.6237
```

The 10 most intense peaks (2θ = 5–70°), low angle first:
- 2θ = 10.93°, intensity 60
- 2θ = 19.14°, intensity 47
- 2θ = 26.54°, intensity 53
- 2θ = 27.71°, intensity 100
- 2θ = 30.96°, intensity 36
- 2θ = 31.62°, intensity 40
- 2θ = 32.07°, intensity 31
- 2θ = 38.29°, intensity 51
- 2θ = 42.13°, intensity 33
- 2θ = 48.50°, intensity 32

=====

# 2
Diffraction record for Rb3Cr. The XRD peak list is simulated, not measured: it uses a structure optimized by DFT (PBE) and a wavelength of 1.5418 Å.

Atomic structure:
```
4
Lattice="6.1828 0.0000 0.0000 0.0000 6.1828 0.0000 0.0000 0.0000 6.1828" Properties=species:S:1:pos:R:3 pbc="T T T"
Rb 0.0000 0.0000 3.0914
Rb 0.0000 3.0914 0.0000
Rb 3.0914 0.0000 0.0000
Cr 3.0914 3.0914 3.0914
```

The 10 most intense peaks (2θ = 5–70°), low angle first:
- 2θ = 14.33°, intensity 3
- 2θ = 20.31°, intensity 2
- 2θ = 24.94°, intensity 100
- 2θ = 28.88°, intensity 51
- 2θ = 41.30°, intensity 38
- 2θ = 48.85°, intensity 46
- 2θ = 51.18°, intensity 13
- 2θ = 59.83°, intensity 6
- 2θ = 65.84°, intensity 18
- 2θ = 67.78°, intensity 17

=====

# 3
Diffraction record for LaRe2W. The XRD peak list is simulated, not measured: it uses a structure optimized by DFT (PBE) and a wavelength of 1.5418 Å.

Atomic structure:
```
16
Lattice="6.6054 0.0000 0.0000 0.0000 6.6054 0.0000 0.0000 0.0000 6.6054" Properties=species:S:1:pos:R:3 pbc="T T T"
La 0.0000 0.0000 0.0000
La 0.0000 3.3027 3.3027
La 3.3027 0.0000 3.3027
La 3.3027 3.3027 0.0000
Re 0.0000 0.0000 3.3027
Re 0.0000 3.3027 0.0000
Re 1.6514 1.6514 1.6514
Re 1.6514 4.9541 4.9541
Re 3.3027 0.0000 0.0000
Re 3.3027 3.3027 3.3027
+++

Providing loans for renewable/alternative energy programs would, in a sane world, be a good idea. Unfortunately, as we saw with the previous loans, they were politically motivated and were wasteful (Reuters) The U.S. Energy Department on Wednesday unveiled a plan for up to $4 billion in loan aid for renewable energy companies to help rejuvenate […]

Pirate's Cove